What to do >
Restate all of the listing further below without altering anything.

Listing >
'''
Density functional theory data (GGA-PBE) for a geometry-optimized AcLaSbN structure.

a b c (Å): 4.857 4.857 9.730
angles (deg): 90.00 90.00 90.00
Atoms (fractional coordinates):
Ac 0.250 0.250 0.171
Ac 0.750 0.750 0.829
La 0.250 0.750 0.500
La 0.750 0.250 0.500
Sb 0.250 0.250 0.796
Sb 0.750 0.750 0.204
N 0.250 0.250 0.418
N 0.750 0.750 0.582

Properties
Crystal system: tetragonal


Density functional theory data (GGA-PBE) for a geometry-optimized Ac3La2Se3N2 structure.

a b c (Å): 13.249 13.249 13.249
angles (deg): 159.89 159.89 28.59
Atoms (fractional coordinates):
Ac 0.000 0.000 0.000
Ac 0.379 0.379 0.000
Ac 0.621 0.621 0.000
La 0.250 0.750 0.500
La 0.750 0.250 0.500
Se 0.133 0.133 0.000
Se 0.500 0.500 0.000
Se 0.867 0.867 0.000
N 0.284 0.284 0.000
N 0.716 0.716 0.000

Properties
Crystal system: tetragonal


Density functional theory data (GGA-PBE) for a geometry-optimized AcLa2SiN4 structure.

a b c (Å): 6.300 6.300 12.319
angles (deg): 90.00 90.00 146.51
Atoms (fractional coordinates):
Ac 0.090 0.910 0.750
Ac 0.910 0.090 0.250
La 0.367 0.633 0.545
La 0.367 0.633 0.955
La 0.633 0.367 0.045
La 0.633 0.367 0.455
Si 0.183 0.817 0.250
Si 0.817 0.183 0.750
N 0.000 0.000 0.000
N 0.000 0.000 0.500
N 0.272 0.728 0.137
N 0.272 0.728 0.363
N 0.397 0.603 0.750
N 0.603 0.397 0.250
N 0.728 0.272 0.637
N 0.728 0.272 0.863

Properties
Crystal system: orthorhombic


Density functional theory data (GGA-PBE) for a geometry-optimized Ac3La4SiN8 structure.

a b c (Å): 7.533 7.533 7.549
angles (deg): 119.73 119.73 59.84
Atoms (fractional coordinates):
Ac 0.000 0.000 0.000
Ac 0.000 0.500 0.000
Ac 0.500 0.000 0.000
La 0.000 0.000 0.500
La 0.000 0.500 0.500
La 0.500 0.000 0.500
La 0.500 0.500 0.500
Si 0.500 0.500 0.000
N 0.238 0.238 0.732
N 0.243 0.751 0.736
N 0.249 0.757 0.264
N 0.253 0.253 0.259
N 0.747 0.747 0.741
N 0.751 0.243 0.736
N 0.757 0.249 0.264
N 0.762 0.762 0.268

Properties
Crystal system: monoclinic


Density functional theory data (GGA-PBE) for a geometry-optimized AcLa2SmN4 structure.

a b c (Å): 6.498 3.752 6.515
angles (deg): 90.00 109.50 90.00
Atoms (fractional coordinates):
Ac 0.000 0.000 0.000
La 0.500 0.000 0.500
La 0.500 0.500 0.000
Sm 0.000 0.500 0.500
N 0.248 0.000 0.743
N 0.253 0.500 0.260
N 0.747 0.500 0.740
N 0.752 0.000 0.257

Properties
Crystal system: monoclinic


Density functional theory data (GGA-PBE) for a geometry-optimized Ac2La3SmN6 structure.

a b c (Å): 8.552 8.552 7.534
angles (deg): 102.52 102.52 25.41
Atoms (fractional coordinates):
Ac 0.165 0.165 0.327
Ac 0.835 0.835 0.673
La 0.157 0.157 0.833
La 0.500 0.500 0.500
La 0.843 0.843 0.167
Sm 0.500 0.500 0.000
N 0.002 0.002 0.757
N 0.342 0.342 0.413
N 0.347 0.347 0.930
N 0.653 0.653 0.070
N 0.658 0.658 0.587
N 0.998 0.998 0.243

Properties
Crystal system: monoclinic


Density functional theory data (GGA-PBE) for a geometry-optimized AcLa3Sm2N6 structure.

a b c (Å): 6.464 6.464 6.439
angles (deg): 99.54 99.54 120.04
Atoms (fractional coordinates):
Ac 0.000 0.000 0.000
La 0.170 0.830 0.500
La 0.500 0.500 0.500
La 0.830 0.170 0.500
Sm 0.334 0.666 0.000
Sm 0.666 0.334 0.000
N 0.083 0.430 0.248
N 0.267 0.267 0.755
N 0.430 0.083 0.248
N 0.570 0.917 0.752
N 0.733 0.733 0.245
N 0.917 0.570 0.752

Properties
Crystal system: monoclinic


Density functional theory data (GGA-PBE) for a geometry-optimized AcLaSmN3 structure.

a b c (Å): 6.436 3.719 9.624
angles (deg): 90.00 101.49 90.00
Atoms (fractional coordinates):
Ac 0.231 0.250 0.453
Ac 0.769 0.750 0.547
La 0.357 0.750 0.812
La 0.643 0.250 0.188
Sm 0.150 0.750 0.136
Sm 0.850 0.250 0.864
N 0.023 0.250 0.656
N 0.248 0.250 0.014
N 0.473 0.750 0.306
N 0.527 0.250 0.694
N 0.752 0.750 0.986
N 0.977 0.750 0.344

Properties
Crystal system: monoclinic


Density functional theory data (GGA-PBE) for a geometry-optimized AcLa2SnN structure.

a b c (Å): 5.131 5.131 5.295
angles (deg): 90.00 90.00 90.00
Atoms (fractional coordinates):
Ac 0.000 0.000 0.000
La 0.000 0.500 0.500
La 0.500 0.000 0.500
Sn 0.500 0.500 0.000
'''

Done >
Density functional theory data (GGA-PBE) for a geometry-optimized AcLaSbN structure.

a b c (Å): 4.857 4.857 9.730
angles (deg): 90.00 90.00 90.00
Atoms (fractional coordinates):
Ac 0.250 0.250 0.171
Ac 0.750 0.750 0.829
La 0.250 0.750 0.500
La 0.750 0.250 0.500
Sb 0.250 0.250 0.796
Sb 0.750 0.750 0.204
N 0.250 0.250 0.418
N 0.750 0.750 0.582

Properties
Crystal system: tetragonal


Density functional theory data (GGA-PBE) for a geometry-optimized Ac3La2Se3N2 structure.

a b c (Å): 13.249 13.249 13.249
angles (deg): 159.89 159.89 28.59
Atoms (fractional coordinates):
Ac 0.000 0.000 0.000
Ac 0.379 0.379 0.000
Ac 0.621 0.621 0.000
La 0.250 0.750 0.500
La 0.750 0.250 0.500
Se 0.133 0.133 0.000
Se 0.500 0.500 0.000
Se 0.867 0.867 0.000
N 0.284 0.284 0.000
N 0.716 0.716 0.000

Properties
Crystal system: tetragonal


Density functional theory data (GGA-PBE) for a geometry-optimized AcLa2SiN4 structure.

a b c (Å): 6.300 6.300 12.319
angles (deg): 90.00 90.00 146.51
Atoms (fractional coordinates):
Ac 0.090 0.910 0.750
Ac 0.910 0.090 0.250
La 0.367 0.633 0.545
La 0.367 0.633 0.955
La 0.633 0.367 0.045
La 0.633 0.367 0.455
Si 0.183 0.817 0.250
Si 0.817 0.183 0.750
N 0.000 0.000 0.000
N 0.000 0.000 0.500
N 0.272 0.728 0.137
N 0.272 0.728 0.363
N 0.397 0.603 0.750
N 0.603 0.397 0.250
N 0.728 0.272 0.637
N 0.728 0.272 0.863

Properties
Crystal system: orthorhombic


Density functional theory data (GGA-PBE) for a geometry-optimized Ac3La4SiN8 structure.

a b c (Å): 7.533 7.533 7.549
angles (deg): 119.73 119.73 59.84
Atoms (fractional coordinates):
Ac 0.000 0.000 0.000
Ac 0.000 0.500 0.000
Ac 0.500 0.000 0.000
La 0.000 0.000 0.500
La 0.000 0.500 0.500
La 0.500 0.000 0.500
La 0.500 0.500 0.500
Si 0.500 0.500 0.000
N 0.238 0.238 0.732
N 0.243 0.751 0.736
N 0.249 0.757 0.264
N 0.253 0.253 0.259
N 0.747 0.747 0.741
N 0.751 0.243 0.736
N 0.757 0.249 0.264
N 0.762 0.762 0.268

Properties
Crystal system: monoclinic


Density functional theory data (GGA-PBE) for a geometry-optimized AcLa2SmN4 structure.

a b c (Å): 6.498 3.752 6.515
angles (deg): 90.00 109.50 90.00
Atoms (fractional coordinates):
Ac 0.000 0.000 0.000
La 0.500 0.000 0.500
La 0.500 0.500 0.000
Sm 0.000 0.500 0.500
N 0.248 0.000 0.743
N 0.253 0.500 0.260
N 0.747 0.500 0.740
N 0.752 0.000 0.257

Properties
Crystal system: monoclinic


Density functional theory data (GGA-PBE) for a geometry-optimized Ac2La3SmN6 structure.

a b c (Å): 8.552 8.552 7.534
angles (deg): 102.52 102.52 25.41
Atoms (fractional coordinates):
Ac 0.165 0.165 0.327
Ac 0.835 0.835 0.673
La 0.157 0.157 0.833
La 0.500 0.500 0.500
La 0.843 0.843 0.167
Sm 0.500 0.500 0.000
N 0.002 0.002 0.757
N 0.342 0.342 0.413
N 0.347 0.347 0.930
N 0.653 0.653 0.070
N 0.658 0.658 0.587
N 0.998 0.998 0.243

Properties
Crystal system: monoclinic


Density functional theory data (GGA-PBE) for a geometry-optimized AcLa3Sm2N6 structure.

a b c (Å): 6.464 6.464 6.439
angles (deg): 99.54 99.54 120.04
Atoms (fractional coordinates):
Ac 0.000 0.000 0.000
La 0.170 0.830 0.500
La 0.500 0.500 0.500
La 0.830 0.170 0.500
Sm 0.334 0.666 0.000
Sm 0.666 0.334 0.000
N 0.083 0.430 0.248
N 0.267 0.267 0.755
N 0.430 0.083 0.248
N 0.570 0.917 0.752
N 0.733 0.733 0.245
N 0.917 0.570 0.752

Properties
Crystal system: monoclinic


Density functional theory data (GGA-PBE) for a geometry-optimized AcLaSmN3 structure.

a b c (Å): 6.436 3.719 9.624
angles (deg): 90.00 101.49 90.00
Atoms (fractional coordinates):
Ac 0.231 0.250 0.453
Ac 0.769 0.750 0.547
La 0.357 0.750 0.812
La 0.643 0.250 0.188
Sm 0.150 0.750 0.136
Sm 0.850 0.250 0.864
N 0.023 0.250 0.656
N 0.248 0.250 0.014
N 0.473 0.750 0.306
N 0.527 0.250 0.694
N 0.752 0.750 0.986
N 0.977 0.750 0.344

Properties
Crystal system: monoclinic


Density functional theory data (GGA-PBE) for a geometry-optimized AcLa2SnN structure.

a b c (Å): 5.131 5.131 5.295
angles (deg): 90.00 90.00 90.00
Atoms (fractional coordinates):
Ac 0.000 0.000 0.000
La 0.000 0.500 0.500
La 0.500 0.000 0.500
Sn 0.500 0.500 0.000